Work order =
Your job: search the calculation results underneath for the word "Si" and transcribe each line that has it.

Entries =
VASP calculation (PBE-GGA) on Mn3PtN after structural relaxation.

Computed properties:
The calculated total energy comes out at -8.69 eV/atom. The MP2020-corrected energy comes out at -43.80 eV per cell.

Geometry as POSCAR:
```
Mn3PtN
1.0
3.945 0.000 0.000
0.000 3.945 0.000
0.000 0.000 3.945
Mn Pt N
3 1 1
Cartesian
1.972 1.972 0.000
1.972 0.000 1.972
0.000 1.972 1.972
0.000 0.000 0.000
1.972 1.972 1.972
```

~~~~~

Density functional theory data (GGA-PBE) for an optimized crystal structure of KZnCuTe2.

Calculated volume, Å³ per atom: 27.9
Total magnetic moment, μB per cell: 0.00
Corrected total energy (MP2020 scheme), eV per atom: -3.235
Formation energy, eV per atom: -0.68
Uncorrected energy, eV per cell: -15.33

Unit cell a=8.129 b=8.129 c=8.129 alpha=149.29 beta=149.29 gamma=43.98
Atoms (fractional coordinates):
K 0.000 0.000 0.000
Zn 0.750 0.250 0.500
Cu 0.250 0.750 0.500
Te 0.359 0.359 0.000
Te 0.641 0.641 0.000


Density functional theory data (GGA-PBE) for an optimized crystal structure of Na12Nb2Zn4Si6S3O36.

Calculated volume, Å³ per atom: 13.0
Total magnetic moment, μB per cell: 0.00
Corrected total energy (MP2020 scheme), eV per atom: -6.638
Formation energy, eV per atom: -2.44
Uncorrected energy, eV per cell: -786.96

Unit cell a=9.222 b=9.222 c=22.182 alpha=90.00 beta=90.00 gamma=60.07
Atoms (fractional coordinates):
Na 0.129 0.871 0.500
Na 0.136 0.499 0.992
Na 0.171 0.181 0.407
Na 0.180 0.534 0.653
Na 0.181 0.171 0.907
Na 0.184 0.820 0.163
Na 0.186 0.460 0.328
Na 0.201 0.866 0.823
Na 0.459 0.862 0.322
Na 0.460 0.186 0.828
Na 0.499 0.136 0.492
Na 0.507 0.518 0.738
Na 0.507 0.894 0.996
Na 0.518 0.507 0.238
Na 0.526 0.799 0.667
Na 0.534 0.180 0.153
Na 0.799 0.526 0.167
Na 0.820 0.184 0.663
Na 0.823 0.858 0.076
Na 0.858 0.823 0.576
Na 0.862 0.459 0.822
Na 0.866 0.201 0.323
Na 0.871 0.129 0.000
Na 0.894 0.507 0.496
Nb 0.496 0.504 0.389
Nb 0.504 0.496 0.889
Nb 0.831 0.849 0.231
Nb 0.849 0.831 0.731
Zn 0.152 0.192 0.573
Zn 0.154 0.173 0.763
Zn 0.173 0.154 0.263
Zn 0.192 0.152 0.073
Zn 0.491 0.526 0.599
Zn 0.526 0.491 0.099
Zn 0.824 0.853 0.921
Zn 0.853 0.824 0.421
Si 0.130 0.545 0.836
Si 0.130 0.842 0.334
Si 0.170 0.882 0.663
Si 0.209 0.503 0.501
Si 0.474 0.871 0.163
Si 0.503 0.209 0.001
Si 0.542 0.841 0.834
Si 0.545 0.130 0.336
Si 0.841 0.542 0.334
Si 0.842 0.130 0.834
Si 0.871 0.474 0.663
Si 0.882 0.170 0.163
S 0.165 0.475 0.164
S 0.218 0.794 0.998
S 0.475 0.165 0.664
S 0.507 0.797 0.497
S 0.794 0.218 0.498
S 0.797 0.507 0.997
O 0.008 0.645 0.168
O 0.019 0.629 0.895
O 0.023 0.873 0.395
O 0.026 0.672 0.496
O 0.037 0.673 0.777
O 0.040 0.804 0.275
O 0.051 0.806 0.994
O 0.133 0.997 0.602
O 0.141 0.398 0.109
O 0.166 0.994 0.327
O 0.170 0.357 0.825
O 0.189 0.374 0.219
O 0.202 0.962 0.995
O 0.204 0.962 0.723
O 0.207 0.326 0.497
O 0.301 0.699 0.053
O 0.305 0.524 0.559
O 0.310 0.504 0.159
O 0.315 0.543 0.838
O 0.320 0.663 0.336
O 0.324 0.702 0.942
O 0.326 0.207 0.997
O 0.326 0.688 0.662
O 0.338 0.490 0.441
O 0.349 0.961 0.496
O 0.357 0.170 0.325
O 0.358 0.999 0.824
O 0.363 0.954 0.223
O 0.374 0.189 0.719
O 0.398 0.141 0.609
O 0.412 0.989 0.103
O 0.490 0.338 0.941
O 0.496 0.701 0.442
O 0.497 0.683 0.157
O 0.504 0.310 0.659
O 0.524 0.305 0.059
O 0.529 0.699 0.552
O 0.534 0.662 0.837
O 0.543 0.315 0.338
O 0.617 0.870 0.895
O 0.629 0.019 0.395
O 0.645 0.008 0.668
O 0.654 0.820 0.493
O 0.662 0.534 0.337
O 0.663 0.320 0.836
O 0.669 0.847 0.172
O 0.672 0.026 0.996
O 0.673 0.037 0.277
O 0.674 0.808 0.776
O 0.683 0.497 0.657
O 0.688 0.326 0.162
O 0.699 0.301 0.553
O 0.699 0.529 0.052
O 0.701 0.496 0.942
O 0.702 0.324 0.442
O 0.804 0.040 0.775
O 0.806 0.051 0.494
O 0.808 0.674 0.276
O 0.820 0.654 0.993
O 0.847 0.669 0.672
O 0.867 0.992 0.171
O 0.870 0.617 0.395
O 0.873 0.023 0.895
O 0.954 0.363 0.723
O 0.961 0.349 0.996
O 0.962 0.202 0.495
O 0.962 0.204 0.223
O 0.989 0.412 0.603
O 0.992 0.867 0.671
O 0.994 0.166 0.827
O 0.997 0.133 0.102
O 0.999 0.358 0.324

Result =
Si 0.130 0.545 0.836
Si 0.130 0.842 0.334
Si 0.170 0.882 0.663
Si 0.209 0.503 0.501
Si 0.474 0.871 0.163
Si 0.503 0.209 0.001
Si 0.542 0.841 0.834
Si 0.545 0.130 0.336
Si 0.841 0.542 0.334
Si 0.842 0.130 0.834
Si 0.871 0.474 0.663
Si 0.882 0.170 0.163